Looks good.
Moving to the breath weapon, lets deal with poison vs scalding first. Based on the original text, I'd say that the poison breath should be a smallish amount of untyped damage plus unconsciousness (immunity to poison negates; Ref save halves damage and negates unconsciousness)
Alternatively, we could have the poison vapour do acid damage (similar to how early-edition Green Dragons breath poisonous chlorine gas that did hit points damage) or Con damage.
~~~
Entry 1:
Computed, not measured: a relaxed structure of PrThSb at the GGA-PBE level of DFT.

It has space group I4mm (No. 107), with a = 4.119 Å, b = 4.119 Å, c = 11.017 Å, α = 90.00°, β = 90.00° and γ = 90.00°. Symmetry generates all atoms from Pr at (0.000, 0.000, 0.000), Th at (0.000, 0.000, 0.701) and Sb at (0.000, 0.000, 0.350).

Entry 2:
Computed, not measured: a relaxed structure of Ac6Te3RhSe2 at the GGA-PBE level of DFT.

It has space group C2/m (No. 12), with a = 7.961 Å, b = 13.714 Å, c = 8.089 Å, α = 90.00°, β = 109.16° and γ = 90.00°. Symmetry generates all atoms from Ac at (0.231, 0.158, 0.221), Ac at (0.242, 0.000, 0.772), Te at (0.000, 0.175, 0.500), Te at (0.000, 0.500, 0.500), Rh at (0.000, 0.000, 0.000) and Se at (0.000, 0.335, 0.000).

Asked for V across the records above, the calculation gives 187; 834 Å³ per cell in order.
Asked for M_tot across the records above, the calculation gives 0.0; 0.0 μB per cell in order.
Asked for formation energy (no corrections) across the records above, the calculation gives -0.52; -1.49 eV per atom in order.

=====

1.
DFT (PBE) results for a relaxed Mg2CdAg5Hg crystal.

The structure in POSCAR format:
```
Mg2CdAg5Hg
1.0
-1.8444 -5.8620 5.4396
7.4620 0.7459 3.3340
-4.7857 6.4731 -0.8381
Mg Ag Hg Cd
4 10 2 2
direct
0.6144 0.1144 0.0000 Mg
0.8856 0.6144 0.0000 Mg
0.1144 0.3856 0.0000 Mg
0.3856 0.8856 0.0000 Mg
0.0737 0.5737 0.7426 Ag
0.4263 0.3310 0.2574 Ag
0.1690 0.0737 0.7426 Ag
0.5000 0.5000 0.0000 Ag
0.9263 0.4263 0.2574 Ag
0.6690 0.1690 0.7426 Ag
0.5737 0.6690 0.7426 Ag
0.0000 0.0000 0.0000 Ag
0.3310 0.8310 0.2574 Ag
0.8310 0.9263 0.2574 Ag
0.7500 0.2500 0.5000 Hg
0.2500 0.7500 0.5000 Hg
0.7500 0.7500 0.5000 Cd
0.2500 0.2500 0.5000 Cd
```

## Properties
**Formation energy**: 0.11 eV/atom
**Calculated volume**: 380.0 Å³/cell

=====

2.
DFT (PBE) results for a relaxed K4LaO2 crystal.

The structure in POSCAR format:
```
K4LaO2
1.0
6.5174 0.0000 0.0000
0.0000 6.5174 0.0000
3.2587 3.2587 7.3850
K La O
4 1 2
direct
0.0000 0.5000 0.0000 K
0.2906 0.2906 0.4188 K
0.7094 0.7094 0.5812 K
0.5000 0.0000 0.0000 K
0.0000 0.0000 0.0000 La
0.5483 0.5483 0.9033 O
0.4517 0.4517 0.0967 O
```

## Properties
**ΔE_f (raw)**: 0.176 eV per atom
**Calculated volume**: 313.7 Å³/cell

=====

Q: The lowest calculated volume belongs to which entry?
A: K4LaO2

=====

Q: The lowest calculated volume belongs to which entry?
A: K4LaO2

=====

The following is a DFT calculation (PBE) of a geometry-optimized Li3NbPt4 structure.

volume: 14.482 Å³ per atom
ΔE_f: -0.616 eV/atom
raw total energy: -5.6130 eV/atom
size of the total moment: 0.0 μB/f.u.

```
data_Li3NbPt4
_chemical_formula_sum 'Li6 Nb2 Pt8'
_symmetry_space_group_name_H-M 'C 1 2/m 1'
_symmetry_Int_Tables_number 12
_symmetry_space_group_name_Hall '-C 2y'
_cell_length_a 5.771
_cell_length_b 5.767
_cell_length_c 7.531
_cell_angle_alpha 90.00
_cell_angle_beta 112.42
_cell_angle_gamma 90.00
loop_
_atom_site_label
_atom_site_type_symbol
_atom_site_fract_x
~~~
It could actually
be a poison that causes Con damage plus unconsciousness as its primary/secondary effect.
Or we could have it do a bit of damage (untyped or acid) and expose creatures who fail their Reflex saves to the poison (Fort save to avoid unconsciousness)? Or maybe have them make the saves separately?
, while the scalding breath should be a normal-large amount of fire damage plus blinding (Ref save halves damage and negates blindness).
That approach to the Scalding Breath sounds fine.
As for the gaseous form breath, I feel like we have a precedent somewhere, but I guess it's pretty much straightforward anyway. I might give a Fort save rather than a Ref save for that, though. What do you think?
Regarding the gaseous breath, I suspect you were recalling the following:
Breath Weapon (Su): A Mystaran sapphire dragon has two breath weapons: a line of lightning or a line of vaporizing energy that does untyped damage. Any creature or object within the area of effect can attempt Reflex saves to take half damage. If a creature struck by the first (vaporizing) breath weapon fails this save they must also attempt a Fortitude save or contract a supernatural curse carried by the breath weapon, as follows.
Sapphire Curse: Objects and creatures affected by this curse turn into vapor as if they were affected by the
gaseous form spell. This vaporous condition lasts for 1 minute per age category of the dragon. Normally, the vaporous creature or object returns to solid form at the end of this duration, but if the vaporizing breath weapon did enough damage to destroy the creature or object it will dissipate into gas and a few puffs of dust when the duration expires. The traces of dust are enough to restore a dissipated victim with a
resurrection spell.
The sapphire curse can be neutralized by a
dispel magic,
remove curse, or
break enchantment effect that succeeds at a caster level check against a DC equal to the dragon's spell resistance (minimum DC 15). A vaporized victim can also be restored by any effect that can transform a gaseous object into a solid one, such as the
polymorph any object spell or a vampire's
gaseous form ability.
The above Sapphire Curse is a pretty exact match, so we just need to tweak the name and text a little (I think "Vaporizing Breath" works better than "Vaporous Curse" in this case) and decide on a duration for the effect.